Deeeep In Thought!

Deeeep In Thought!
Too much sun, though!

Dave's Pages

Now We're Talking!

Welcome to the Blog! Here you'll find content relevant to men's self-esteem, Jewish religious/cultural traditions, life growing up in Long Island (specifically South Nassau), and adjustments to married life!


Thursday, December 30, 2010

You Say You Want a Resolution?

Well, you know . . . . .

(sorry, I couldn't resist)

We all know that they're tough to keep, but here are a few of mine:

(1) I will try to do for others "just because," and not because I expect something in return.

(2) I will try to concentrate on others' positive attributes, and not look for reasons to criticize and malign.

(3) I will try to organize the world and the space around me to accommodate my priorities, and not complaint about a supposedly insurmountable pile of obligations.

(4) I will try to be quick with my humor and my smarts, and not with my temper and my fault-finding.

(5) I will try to create a diet that fits my tastes, my time, and my running endeavors, and not complain that none of my jeans fit because I just "had" to have an extra dessert and couldn't say no.

(6) I will try to focus on this blog I've created for the good it can do, and not give it up because someone decided to tell me that "nobody makes money from these things," and that the source of their knowledge is that "everybody knows that."

(7) I will try to research the ways that my wife and I can acquire wealth, legally and substantially, by our own talents and work ethic, and not merely "scrimp and save."

(8) I will try to accept criticism and graciously, with the wisdom to know the difference between criticism and bullying, and not look to attack anyone who says something that is not sugar-coated and wonderful.

(9) I will try to find the time to everything for my marriage, my job, and my extended family, and not say later that I did not have the time.

(10) I will try to respect everyone, regardless of whether they think or act like me, and not merely condemn and reject those who don't as "annoying" or "weird."

I say try because I'm only human -- I can't guarantee that I will stick with all of these in 2011, but I sure would like to aspire to them.

Anyone else got some resolutions to share? Feel free to place them directly below.

A Happy and Healthy New Year 2011 to all! :)

Sunday, December 26, 2010

A White X-Mas!

Yes people, we're now in the midst of the Blizzard of 2010. Here in the NYC area, we're getting POUNDED! And on the Jersey City side of the river, the wind gusts we get off the Hudson River is blowing the snow sideways! I can only imagine how my friends in my native heath of Nassau County, Long Island, are dealing -- I just hope everyone is indoors, safe and sound!

So sad, really. When I was a kid, I would clamor for snow days, as they were so few and far between. I can remember in particular a blizzard that happened when I was in 10th Grade, in the 1987-88 school year. Every SINGLE school district on Long Island closed their schools, but NOT beautiful downtown Baldwin! I remember looking longingly at the high snow drifts outside the window in Ms. Siani's biology class.

(um, Dave, you just admitted you weren't paying attention in class -- Ah, so what, I got a great grade on the Regents anyway!)

Nowadays, as an adult, we dread the snow. Since I'm currently using all my vacation days now in December, since I can't recycle them in 2011, I certainly don't have the chutzpah to wish for a snow day now. Moreover, the managing partner at our firm has repeatedly indicated in mass e-mails that he would never close the firm in situations like this, because these storms tend to pass, or not even happen, when the business week begins. I'm just glad that I have no court appearances tomorrow, and that it's dress-down for the rest of the year (week).

Which means I need to pose a question to you, my faithful readers. My dear wife thinks that it's a good idea for employees with paid vacation time to deliberately take less than the alotted vacation days, otherwise the employer will think the employee is lazy or unmotivated. I think the employee should take them all or most of them, or risk burnout. After all, if it's being offered, take it! Am I right, or is the lady?

COMMENT, as Lionel says, as you see fit.

Friday, December 24, 2010

Yet Another Rebirth!

Yes people, Xmas 2010 has arrived, as the tail end of yet another year of life! I'm happy to take a little trip out to Long Island to see my godson's family & share the holiday with everyone.

Interesting note I didn't put in the last entry about my godson -- the fact that I happen to be Jewish, but was given the honor of being named his godfather according to the customs of the Presbyterian Church. When his parents gave me this honor, I thought to myself briefly, "Is this OK? Am I abandoning something that's part of me? Am I flying the flag of a foreign nation? Is something not right about this?"

I answered myself, NO. This baby's christening is not about me. That day is HIS day, and not mine. It is he who is being baptized in the faith his parents chose, and I'm just agreeing to lend some long-range moral support. And so I did lend it -- at the church, I can remember bellowing my part of he ceremony, so they could hear me in the rear pews, "I WILL, WITH G-D'S HELP!"

(those of you who were at my wedding would witness my continuination of the tradition of bellowing at the altar, when I said "I DO!" and followed up with passionate exhortations of the Hebrew vows.)

And so it goes with tonight's holiday. Growing up as the sole Jewish family on a quiet street in Baldwin, our parents had us share Xmas and Chanukah with neighbors and friends. This year, Chanukah did not directly conicide with Xmas, but the feelings of that holiday extend to all Americans, regardless of faith or stripe. I'm going to play with a bunch of kids who've always made me happy, make them laugh, and remind them that this is a fun, magical time of year!

Down the road, I hope to do what other godparents do -- try to remind him to stay on the straight and narrow. Right now, he's only three, so the only morality he needs to understand is to not fight with his older brother too much. As time goes on, I'll send him a Bible, and sit him down to talk about basic decency & respect. This may be as simple as telling him not to do something just because all the stupid kids at school are doing it, or reminding him that Mom & Dad are not out to get him. Or maybe just lending an ear if he's really got some issues that he doesn't want to tell anyone else. We shall see . . . .

Anyway, I want to plug a common-sense self-help blog that a really admire. Go to, and you'll be astounded! This guy has the best way of saying things, and it's something many of us forget. Definitely check him out, and tell him I sent you!

In the meantime, next week I'll blog about New Year's Resolutions -- the ones I want to keep, and the ones we all should!

Peace on Earth, and Goodwill Towards Men!

Inserted here: data records =
=====
No. 1
Simulated powder XRD pattern
Compound: In2AgSe3Cl
Radiation: Cu Kα (weighted mean of Kα1 and Kα2)
Structure: a GGA-PBE-relaxed structure

Atomic structure:
a b c (Å): 8.0764 8.0764 8.0764
angles (deg): 61.04 61.04 61.04
Sites, in units of the cell vectors:
In1 0.0000 0.0000 0.0000
In2 0.0000 0.0000 0.5000
In3 0.0000 0.5000 0.0000
In4 0.5000 0.0000 0.0000
Ag1 0.4080 0.4080 0.4080
Ag2 0.5920 0.5920 0.5920
Se1 0.2150 0.7586 0.7586
Se2 0.2414 0.2414 0.7850
Se3 0.2414 0.7850 0.2414
Se4 0.7586 0.2150 0.7586
Se5 0.7586 0.7586 0.2150
Se6 0.7850 0.2414 0.2414
Cl1 0.2481 0.2481 0.2481
Cl2 0.7519 0.7519 0.7519

Top 10 peaks for 10 to 90 degrees two-theta, sorted by position:
- 15.40 deg, d 5.755, I 22
- 25.48 deg, d 3.495, I 38
- 25.63 deg, d 3.475, I 37
- 25.93 deg, d 3.436, I 31
- 31.08 deg, d 2.877, I 100
- 40.71 deg, d 2.216, I 38
- 44.16 deg, d 2.051, I 74
- 44.90 deg, d 2.019, I 46
- 46.85 deg, d 1.939, I 23
- 74.16 deg, d 1.279, I 26

***

No. 2
Simulated powder XRD pattern
Compound: InAg2Te2Cl2
Radiation: Cu Kα (weighted mean of Kα1 and Kα2)
Structure: a GGA-PBE-relaxed structure

Atomic structure:
a b c (Å): 4.4592 7.4899 7.6024
angles (deg): 114.53 90.10 107.22
Sites, in units of the cell vectors:
In1 0.0000 0.0000 0.0000
Ag1 0.2884 0.5767 0.6140
Ag2 0.7116 0.4233 0.3860
Te1 0.2199 0.4410 0.1851
Te2 0.7801 0.5590 0.8149
Cl1 0.4975 0.9932 0.2293
Cl2 0.5025 0.0068 0.7707

Top 10 peaks for 10 to 90 degrees two-theta, sorted by position:
- 13.75 deg, d 6.441, I 53
- 14.20 deg, d 6.237, I 100
- 23.16 deg, d 3.841, I 35
- 27.70 deg, d 3.221, I 53
- 31.24 deg, d 2.864, I 80
- 37.40 deg, d 2.405, I 31
- 40.46 deg, d 2.230, I 29
- 41.15 deg, d 2.194, I 39
- 45.26 deg, d 2.004, I 36
- 49.74 deg, d 1.833, I 23

***

Repeat the second record exactly.
Simulated powder XRD pattern
Compound: InAg2Te2Cl2
Radiation: Cu Kα (weighted mean of Kα1 and Kα2)
Structure: a GGA-PBE-relaxed structure

Atomic structure:
a b c (Å): 4.4592 7.4899 7.6024
angles (deg): 114.53 90.10 107.22
Sites, in units of the cell vectors:
In1 0.0000 0.0000 0.0000
Ag1 0.2884 0.5767 0.6140
Ag2 0.7116 0.4233 0.3860
Te1 0.2199 0.4410 0.1851
Te2 0.7801 0.5590 0.8149
Cl1 0.4975 0.9932 0.2293
Cl2 0.5025 0.0068 0.7707

Top 10 peaks for 10 to 90 degrees two-theta, sorted by position:
- 13.75 deg, d 6.441, I 53
- 14.20 deg, d 6.237, I 100
- 23.16 deg, d 3.841, I 35
- 27.70 deg, d 3.221, I 53
- 31.24 deg, d 2.864, I 80
- 37.40 deg, d 2.405, I 31
- 40.46 deg, d 2.230, I 29
- 41.15 deg, d 2.194, I 39
- 45.26 deg, d 2.004, I 36
- 49.74 deg, d 1.833, I 23

~~~~~

No. 1
PuB2Os: simulated powder X-ray diffraction pattern (Cu Kα (λ = 1.5418 Å)), based on a DFT-relaxed cell (GGA-PBE, the Materials Project).
Neutral-atom scattering factors, no anomalous dispersion.

Main lines, in order of rising 2θ (10 to 90 degrees two-theta):
=====

Sunday, December 12, 2010

My Godson

The next step for the Lady and I will be bringing children into the world. However, we both need to wait some time to have them. My schedule has me working in the office about 12 hours a day every day, since I have to handle and manage all of the cases we have for one particular client. Her schedule has her all over, working 24/7. We need time and room to bring little ones into our lives.

So where can I go to fulfill my paternal impulses and aching need to act silly and goofy? To my godson's house, of course! Those of you who saw my profile on MySpace and Facebook may remember a shot of me carrying a baby -- well, that was him! Now Reigny's 3 years old and he's tons of fun!

First of all, anytime you have a chance to play with a 3-year-old kid who has a mohawk, you know it's gonna be a good time! Now that he's developed a definite personality, and is able to wrestle with his older brother (despite what he gives up in age and size), it's even better! I can teach him to sing the "I'm sorry" song, so he can always get out of trouble with Mom ("I'm sorry, so sorry, please accept my apologies"), and he repeats everything I tell him!

He even outsmarted me! He kept pointing towards the top of the entertainment center his folks have in the living room, saying he wanted "paper" to draw on. So I look through all of these boxes and containers up there, can't see any paper anywhere! After a while, his Aunt Korri starts cracking up and tells me, "He's trying to play you soooo bad! Those are all the toys that are banned in this house!" Oh well, that's part of my role here as the godfather/unofficial uncle/friendly grown-up -- because I don't make the rules, and I'm not the parent, I can let them "play" me a little bit.

Just makes me wonder what I should do when I am the parent. I want to be someone they'd love and respect, but it's not easy for me to be the bad guy. I still hear plenty of yelling and screaming at that ranch -- it has to be done because kids that young have to be taught right and wrong with some harshness and some discipline. I just don't want to go overboard. A traumatized and emotionally wounded child is a high price to pay to be "in charge" and "in control."

Probably something to look at another day -- but I would like to have one or two little folk while my parents are still alive and can be grandparents. We shall see . . . . .